**Activity**
The reader should echo the calculation results further down from the line with "0.460 -2.277" to the end without additions.
**Entries**
<<<
A structure of composition C24H20ClNPSW in a non-equilibrium geometry, computed with ωB97M-V with the def2-TZVPD basis set.

Computed properties:
Charge   +1
2S+1   3
LUMO energy (spin up / spin down)   -5.1 / -5.2 eV
Energy relative to the best compared isomer or geometry (same formula, charge and spin)   3.787 eV
Orbital gap (spin up / spin down)   6.38 / 6.21 eV
Highest occupied orbital energy (spin up / spin down)   -11.4 / -11.5 eV

Cartesian coordinates (Å):
C 2.551 -3.018 2.870
C 2.660 -1.806 2.170
C 1.859 -0.796 2.923
H 3.197 -1.609 1.261
C 1.176 -1.512 3.961
C 1.598 -2.887 3.992
H 1.736 -3.269 4.961
H 2.962 -3.949 2.501
H 1.830 0.240 2.706
H 0.752 -1.063 4.818
W 0.460 -2.277 2.168
Cl -1.623 -1.669 2.751
P -0.411 0.209 -0.352
C -0.394 2.037 -0.003
C 0.246 3.005 -0.801
H 0.773 2.711 -1.713
C 0.213 4.357 -0.434
H 0.717 5.096 -1.059
C -0.459 4.755 0.727
H -0.485 5.810 1.011
C -1.098 3.797 1.527
H -1.627 4.104 2.431
C -1.061 2.447 1.174
H -1.549 1.696 1.802
C 0.777 0.163 -1.775
C 2.141 0.034 -1.427
H 2.425 -0.006 -0.371
C 3.114 -0.026 -2.423
H 4.164 -0.110 -2.142
C 2.745 0.026 -3.775
H 3.511 -0.025 -4.551
C 1.396 0.141 -4.127
H 1.101 0.176 -5.176
C 0.411 0.209 -3.133
H -0.639 0.300 -3.421
C -2.015 0.103 -1.286
C -2.783 1.205 -1.709
H -2.447 2.225 -1.508
C -3.988 1.001 -2.395
H -4.576 1.863 -2.715
C -4.435 -0.296 -2.666
H -5.374 -0.453 -3.202
C -3.677 -1.398 -2.245
H -4.019 -2.412 -2.457
C -2.481 -1.204 -1.553
H -1.892 -2.061 -1.212
S 0.146 -4.410 3.351
C 1.045 -5.340 4.832
N 1.326 -6.115 5.692

* * * * *

{
  "formula": "C2H5IN2O2",
  "method": "the ωB97M-V functional and the def2-TZVPD basis",
  "elements": ["C", "C", "I", "N", "O", "N", "O", "H", "H", "H", "H", "H"],
  "coordinates": [[-0.2329, -1.6302, 0.0418], [0.4881, -0.4754, -0.5687], [2.5763, -0.6961, -0.2904], [0.1355, 0.8236, 0.0788], [0.0054, 0.9355, 1.2877], [-0.4309, 1.6537, -0.6901], [-0.8078, 2.7405, 0.0484], [-1.0770, -1.1999, 0.5283], [0.3582, -2.1344, 0.8726], [-0.5985, -2.3209, -0.6399], [0.3316, -0.1187, -1.6205], [-0.7480, 2.4223, 0.9520]],
  "forces_ev_per_a": [[0.810, 0.488, 2.324], [0.958, 1.846, -1.129], [0.610, 0.000, -0.193], [-2.116, -1.000, -1.235], [1.087, -0.286, 2.974], [0.796, 1.518, -0.469], [-0.428, -0.350, -2.037], [-0.948, 0.167, 0.500], [-0.669, 0.621, -1.277], [-0.290, -1.334, -1.454], [0.022, -1.397, 0.661], [0.169, -0.274, 1.335]],
  "lowdin_charge": [-0.145, -0.725, 0.884, -0.422, -0.044, 0.058, 0.019, 0.073, 0.088, 0.058, 0.100, 0.056],
  "total_charge": 0,
  "homo_lumo_gap_ev": 9.84,
  "relative_energy_kcal_mol": 37.5,
  "smiles": "C[C@H](I)/[N+]([O-])=N/O"
}

***

{
  "formula": "C2H5IN2O2",
  "method": "the ωB97M-V functional and the def2-TZVPD basis",
  "elements": ["C", "C", "I", "N", "O", "N", "O", "H", "H", "H", "H", "H"],
  "coordinates": [[0.6626, 0.8914, -1.4855], [-0.0912, -0.3469, -0.9384], [-2.1700, -0.5317, -1.1272], [0.2608, -0.3129, 0.8105], [1.3939, -0.1086, 1.1426], [-0.7545, -0.5328, 1.4690], [-0.6150, -0.5394, 2.8916], [0.2381, 1.9374, -0.9903], [0.5674, 0.7513, -2.4733], [1.6524, 0.8925, -1.0637], [0.3554, -1.2766, -1.3965], [-1.4999, -0.8237, 3.1614]],
  "forces_ev_per_a": [[-2.214, 1.812, 5.838], [1.363, 0.203, 1.917], [-0.059, 0.257, -0.558], [-1.181, -0.718, -2.484], [1.965, 0.469, 0.567], [-1.927, -0.476, 1.308], [0.952, 0.197, -1.514], [0.553, -2.691, -1.814], [0.122, 0.479, -3.798], [0.646, -0.476, -0.341], [-0.344, 0.849, 1.135], [0.126, 0.097, -0.256]],
  "lowdin_charge": [-0.141, -0.674, 0.860, -0.352, 0.007, -0.077, -0.014, 0.150, 0.015, 0.056, 0.079, 0.092],
  "total_charge": 0,
  "homo_lumo_gap_ev": 9.69,
  "relative_energy_kcal_mol": 64.8,
  "smiles": "C[C@H](I)/[N+]([O-])=N/O"
}

* * * * *

[1]
Computed, not measured: 4 unconnected molecules or ions with the total composition C3H14O4 in a non-equilibrium geometry, with ωB97M-V/def2-TZVPD.

Computed properties:
- Strongest force on any atom: 3.18 eV/Å
- Kohn-Sham gap: 10.6 eV
- SMILES: CC(C)O.O.O.O
- Multiplicity: 1
>>>
**Response**
W 0.460 -2.277 2.168
Cl -1.623 -1.669 2.751
P -0.411 0.209 -0.352
C -0.394 2.037 -0.003
C 0.246 3.005 -0.801
H 0.773 2.711 -1.713
C 0.213 4.357 -0.434
H 0.717 5.096 -1.059
C -0.459 4.755 0.727
H -0.485 5.810 1.011
C -1.098 3.797 1.527
H -1.627 4.104 2.431
C -1.061 2.447 1.174
H -1.549 1.696 1.802
C 0.777 0.163 -1.775
C 2.141 0.034 -1.427
H 2.425 -0.006 -0.371
C 3.114 -0.026 -2.423
H 4.164 -0.110 -2.142
C 2.745 0.026 -3.775
H 3.511 -0.025 -4.551
C 1.396 0.141 -4.127
H 1.101 0.176 -5.176
C 0.411 0.209 -3.133
H -0.639 0.300 -3.421
C -2.015 0.103 -1.286
C -2.783 1.205 -1.709
H -2.447 2.225 -1.508
C -3.988 1.001 -2.395
H -4.576 1.863 -2.715
C -4.435 -0.296 -2.666
H -5.374 -0.453 -3.202
C -3.677 -1.398 -2.245
H -4.019 -2.412 -2.457
C -2.481 -1.204 -1.553
H -1.892 -2.061 -1.212
S 0.146 -4.410 3.351
C 1.045 -5.340 4.832
N 1.326 -6.115 5.692

* * * * *

{
  "formula": "C2H5IN2O2",
  "method": "the ωB97M-V functional and the def2-TZVPD basis",
  "elements": ["C", "C", "I", "N", "O", "N", "O", "H", "H", "H", "H", "H"],
  "coordinates": [[-0.2329, -1.6302, 0.0418], [0.4881, -0.4754, -0.5687], [2.5763, -0.6961, -0.2904], [0.1355, 0.8236, 0.0788], [0.0054, 0.9355, 1.2877], [-0.4309, 1.6537, -0.6901], [-0.8078, 2.7405, 0.0484], [-1.0770, -1.1999, 0.5283], [0.3582, -2.1344, 0.8726], [-0.5985, -2.3209, -0.6399], [0.3316, -0.1187, -1.6205], [-0.7480, 2.4223, 0.9520]],
  "forces_ev_per_a": [[0.810, 0.488, 2.324], [0.958, 1.846, -1.129], [0.610, 0.000, -0.193], [-2.116, -1.000, -1.235], [1.087, -0.286, 2.974], [0.796, 1.518, -0.469], [-0.428, -0.350, -2.037], [-0.948, 0.167, 0.500], [-0.669, 0.621, -1.277], [-0.290, -1.334, -1.454], [0.022, -1.397, 0.661], [0.169, -0.274, 1.335]],
  "lowdin_charge": [-0.145, -0.725, 0.884, -0.422, -0.044, 0.058, 0.019, 0.073, 0.088, 0.058, 0.100, 0.056],
  "total_charge": 0,
  "homo_lumo_gap_ev": 9.84,
  "relative_energy_kcal_mol": 37.5,
  "smiles": "C[C@H](I)/[N+]([O-])=N/O"
}

***

{
  "formula": "C2H5IN2O2",
  "method": "the ωB97M-V functional and the def2-TZVPD basis",
  "elements": ["C", "C", "I", "N", "O", "N", "O", "H", "H", "H", "H", "H"],
  "coordinates": [[0.6626, 0.8914, -1.4855], [-0.0912, -0.3469, -0.9384], [-2.1700, -0.5317, -1.1272], [0.2608, -0.3129, 0.8105], [1.3939, -0.1086, 1.1426], [-0.7545, -0.5328, 1.4690], [-0.6150, -0.5394, 2.8916], [0.2381, 1.9374, -0.9903], [0.5674, 0.7513, -2.4733], [1.6524, 0.8925, -1.0637], [0.3554, -1.2766, -1.3965], [-1.4999, -0.8237, 3.1614]],
  "forces_ev_per_a": [[-2.214, 1.812, 5.838], [1.363, 0.203, 1.917], [-0.059, 0.257, -0.558], [-1.181, -0.718, -2.484], [1.965, 0.469, 0.567], [-1.927, -0.476, 1.308], [0.952, 0.197, -1.514], [0.553, -2.691, -1.814], [0.122, 0.479, -3.798], [0.646, -0.476, -0.341], [-0.344, 0.849, 1.135], [0.126, 0.097, -0.256]],
  "lowdin_charge": [-0.141, -0.674, 0.860, -0.352, 0.007, -0.077, -0.014, 0.150, 0.015, 0.056, 0.079, 0.092],
  "total_charge": 0,
  "homo_lumo_gap_ev": 9.69,
  "relative_energy_kcal_mol": 64.8,
  "smiles": "C[C@H](I)/[N+]([O-])=N/O"
}

* * * * *

[1]
Computed, not measured: 4 unconnected molecules or ions with the total composition C3H14O4 in a non-equilibrium geometry, with ωB97M-V/def2-TZVPD.

Computed properties:
- Strongest force on any atom: 3.18 eV/Å
- Kohn-Sham gap: 10.6 eV
- SMILES: CC(C)O.O.O.O
- Multiplicity: 1